# Input
+++
No. 1
Below is C31H25Cl2EuF6N6O7S2 as an isolated structure, with properties calculated with ωB97M-V/def2-TZVPD.

```
80
Properties=species:S:1:pos:R:3:forces:R:3
Eu 0.736 0.426 -0.284 -2.4 0.9 -0.5
O 2.398 -3.759 -1.452 0.2 0.0 -0.1
C 1.798 -4.490 -0.500 -0.2 0.0 0.3
C 1.946 -5.880 -0.540 0.1 0.1 -0.1
C 1.358 -6.676 0.419 0.1 0.0 -0.1
C 0.590 -6.113 1.430 -0.1 -0.1 0.2
C 0.417 -4.747 1.470 0.1 0.0 -0.1
C 1.024 -3.916 0.525 0.2 -0.1 -0.2
C 0.817 -2.456 0.592 -0.7 0.5 0.8
O 1.465 -1.670 -0.198 0.4 -1.3 0.1
N -0.067 -2.058 1.479 0.3 -0.7 0.1
N -0.374 -0.708 1.509 -0.4 -0.4 0.9
C -1.097 -0.428 2.530 0.2 -0.4 -0.4
S -1.692 1.173 2.871 -0.3 0.0 0.4
C -2.991 0.544 4.015 0.2 0.2 -0.4
C -2.393 -0.591 4.812 0.3 -0.2 -0.3
S -1.550 -1.720 3.638 -0.2 0.2 0.3
H 2.233 -2.810 -1.248 -0.1 -0.1 0.0
H 2.534 -6.309 -1.335 0.1 0.0 -0.1
H 1.503 -7.746 0.378 0.0 -0.1 0.0
H 0.131 -6.743 2.178 0.0 0.0 0.0
H -0.184 -4.274 2.232 0.0 0.0 0.1
H -3.830 0.198 3.409 0.0 0.0 0.0
H -3.317 1.369 4.645 0.0 0.1 0.0
H -3.157 -1.167 5.331 0.0 0.0 0.0
H -1.655 -0.233 5.531 -0.1 0.1 0.0
O -6.110 1.515 -4.943 -2.0 -0.9 -1.0
N -5.179 2.143 -4.491 2.6 -2.2 2.3
O -5.001 3.324 -4.683 0.2 2.7 -0.7
C -4.244 1.417 -3.647 -0.8 1.6 -1.0
C -4.605 0.140 -3.328 -0.1 -1.8 0.6
C -3.838 -0.649 -2.441 -0.5 1.0 -0.7
C -4.210 -1.958 -2.085 0.3 -0.4 0.4
C -3.459 -2.621 -1.150 -0.3 0.3 -0.3
C -2.360 -1.965 -0.581 0.1 -0.7 0.5
N -1.955 -0.760 -0.929 0.1 0.5 -0.3
C -2.667 -0.104 -1.866 0.1 -0.5 0.4
C -2.206 1.189 -2.309 0.1 0.3 -0.2
N -0.977 1.566 -1.901 -0.1 0.0 0.0
C -0.499 2.716 -2.339 -0.1 0.7 -0.1
C -1.242 3.601 -3.124 0.4 -0.4 0.3
C -2.497 3.240 -3.544 0.1 0.0 0.0
C -3.006 1.979 -3.178 0.1 0.1 0.0
H -5.512 -0.274 -3.747 0.1 0.1 0.0
H -5.077 -2.406 -2.546 -0.1 -0.1 -0.1
H -3.702 -3.626 -0.844 0.0 -0.1 0.1
H -1.793 -2.466 0.193 0.0 0.0 0.0
H 0.523 2.953 -2.080 -0.1 0.0 0.1
H -0.812 4.549 -3.406 0.1 0.1 0.0
H -3.075 3.902 -4.167 -0.1 -0.1 0.0
C 1.792 3.306 2.492 -0.1 0.0 -0.4
C 1.445 3.341 0.987 0.6 0.9 0.3
O 0.574 2.399 0.590 0.1 0.4 0.3
C 0.891 4.761 0.663 -0.3 0.0 -0.3
F 1.761 5.747 0.942 0.4 0.1 0.2
F 0.552 4.910 -0.623 0.0 -0.1 -0.1
F -0.212 5.029 1.368 -0.3 -0.2 0.4
C 2.771 3.188 0.178 0.0 -0.4 -0.2
F 3.771 3.993 0.559 0.1 0.2 0.2
F 3.238 1.919 0.322 0.0 0.3 0.2
F 2.593 3.364 -1.133 0.1 0.2 0.0
H 0.888 3.515 3.059 0.0 0.0 0.0
H 2.561 4.033 2.737 0.0 0.1 0.1
H 2.138 2.305 2.736 0.0 0.0 0.0
C 4.894 0.990 3.670 0.1 -0.1 0.0
C 4.487 -0.359 3.061 0.8 0.1 0.4
C 3.239 -0.225 2.371 -1.1 0.0 -0.5
N 2.257 -0.030 1.813 0.6 0.0 0.3
H 5.866 0.893 4.145 0.1 0.0 0.1
H 4.169 1.313 4.414 0.0 0.0 0.0
H 4.956 1.753 2.898 0.0 0.0 0.0
H 4.396 -1.122 3.839 0.0 0.0 -0.2
H 5.232 -0.683 2.327 -0.1 -0.1 0.2
Cl 0.264 -1.274 -2.823 -0.1 -0.4 -0.4
C 1.438 -0.398 -3.813 0.6 0.2 0.3
Cl 0.607 0.959 -4.570 0.2 0.1 -0.6
C 2.592 0.143 -2.856 -0.5 -1.0 -2.1
O 3.723 -0.080 -3.217 0.5 0.0 0.1
O 2.155 0.741 -1.844 0.7 0.6 0.0
H 1.825 -1.050 -4.596 0.0 0.1 0.3
```
Forces are in eV/Å.

- 2S+1: 8
- LUMO energy (spin up / spin down): 1.7 / 1.7 eV
- Energy: -5077.999220 Eh
- Gap between HOMO and LUMO (spin up / spin down): 3.92 / 7.22 eV
- Total charge: -1

No. 2
Below is C31H25Cl4FN6O7ReS4 as an isolated structure, with properties calculated with ωB97M-V/def2-TZVPD.

```
79
Properties=species:S:1:pos:R:3:forces:R:3
Re 0.417 0.054 0.184 0.0 1.5 -1.4
Cl -2.964 4.737 -3.490 -0.1 0.0 0.0
C -1.719 3.825 -2.725 0.2 0.0 0.0
C -0.384 4.143 -2.958 -0.2 -0.1 0.1
Cl 0.034 5.472 -3.971 0.0 0.0 0.0
C 0.620 3.376 -2.367 0.0 -0.2 0.2
Cl 2.291 3.724 -2.618 0.1 0.0 -0.1
C 0.300 2.292 -1.560 -0.7 0.1 -0.2
O 1.197 1.474 -1.043 0.1 -0.5 0.7
C -1.059 1.985 -1.289 0.5 0.7 -0.6
O -1.292 0.949 -0.505 0.6 -1.0 0.7
C -2.051 2.760 -1.884 0.1 -0.2 0.2
Cl -3.696 2.378 -1.543 -0.1 -0.1 0.0
F -1.299 -5.813 2.666 -0.1 0.0 0.1
C -1.190 -4.665 3.365 0.0 0.1 -0.3
C -1.085 -3.481 2.689 0.0 -0.1 0.0
C -1.002 -2.287 3.408 0.0 -0.2 0.1
C -0.679 -1.072 2.694 0.1 0.2 0.4
O -0.503 -1.188 1.457 -0.3 -0.2 0.1
C -0.544 0.115 3.466 0.1 0.1 -0.6
+++

# Work order
Please repeat the whole of the block above unchanged.

# Done
No. 1
Below is C31H25Cl2EuF6N6O7S2 as an isolated structure, with properties calculated with ωB97M-V/def2-TZVPD.

```
80
Properties=species:S:1:pos:R:3:forces:R:3
Eu 0.736 0.426 -0.284 -2.4 0.9 -0.5
O 2.398 -3.759 -1.452 0.2 0.0 -0.1
C 1.798 -4.490 -0.500 -0.2 0.0 0.3
C 1.946 -5.880 -0.540 0.1 0.1 -0.1
C 1.358 -6.676 0.419 0.1 0.0 -0.1
C 0.590 -6.113 1.430 -0.1 -0.1 0.2
C 0.417 -4.747 1.470 0.1 0.0 -0.1
C 1.024 -3.916 0.525 0.2 -0.1 -0.2
C 0.817 -2.456 0.592 -0.7 0.5 0.8
O 1.465 -1.670 -0.198 0.4 -1.3 0.1
N -0.067 -2.058 1.479 0.3 -0.7 0.1
N -0.374 -0.708 1.509 -0.4 -0.4 0.9
C -1.097 -0.428 2.530 0.2 -0.4 -0.4
S -1.692 1.173 2.871 -0.3 0.0 0.4
C -2.991 0.544 4.015 0.2 0.2 -0.4
C -2.393 -0.591 4.812 0.3 -0.2 -0.3
S -1.550 -1.720 3.638 -0.2 0.2 0.3
H 2.233 -2.810 -1.248 -0.1 -0.1 0.0
H 2.534 -6.309 -1.335 0.1 0.0 -0.1
H 1.503 -7.746 0.378 0.0 -0.1 0.0
H 0.131 -6.743 2.178 0.0 0.0 0.0
H -0.184 -4.274 2.232 0.0 0.0 0.1
H -3.830 0.198 3.409 0.0 0.0 0.0
H -3.317 1.369 4.645 0.0 0.1 0.0
H -3.157 -1.167 5.331 0.0 0.0 0.0
H -1.655 -0.233 5.531 -0.1 0.1 0.0
O -6.110 1.515 -4.943 -2.0 -0.9 -1.0
N -5.179 2.143 -4.491 2.6 -2.2 2.3
O -5.001 3.324 -4.683 0.2 2.7 -0.7
C -4.244 1.417 -3.647 -0.8 1.6 -1.0
C -4.605 0.140 -3.328 -0.1 -1.8 0.6
C -3.838 -0.649 -2.441 -0.5 1.0 -0.7
C -4.210 -1.958 -2.085 0.3 -0.4 0.4
C -3.459 -2.621 -1.150 -0.3 0.3 -0.3
C -2.360 -1.965 -0.581 0.1 -0.7 0.5
N -1.955 -0.760 -0.929 0.1 0.5 -0.3
C -2.667 -0.104 -1.866 0.1 -0.5 0.4
C -2.206 1.189 -2.309 0.1 0.3 -0.2
N -0.977 1.566 -1.901 -0.1 0.0 0.0
C -0.499 2.716 -2.339 -0.1 0.7 -0.1
C -1.242 3.601 -3.124 0.4 -0.4 0.3
C -2.497 3.240 -3.544 0.1 0.0 0.0
C -3.006 1.979 -3.178 0.1 0.1 0.0
H -5.512 -0.274 -3.747 0.1 0.1 0.0
H -5.077 -2.406 -2.546 -0.1 -0.1 -0.1
H -3.702 -3.626 -0.844 0.0 -0.1 0.1
H -1.793 -2.466 0.193 0.0 0.0 0.0
H 0.523 2.953 -2.080 -0.1 0.0 0.1
H -0.812 4.549 -3.406 0.1 0.1 0.0
H -3.075 3.902 -4.167 -0.1 -0.1 0.0
C 1.792 3.306 2.492 -0.1 0.0 -0.4
C 1.445 3.341 0.987 0.6 0.9 0.3
O 0.574 2.399 0.590 0.1 0.4 0.3
C 0.891 4.761 0.663 -0.3 0.0 -0.3
F 1.761 5.747 0.942 0.4 0.1 0.2
F 0.552 4.910 -0.623 0.0 -0.1 -0.1
F -0.212 5.029 1.368 -0.3 -0.2 0.4
C 2.771 3.188 0.178 0.0 -0.4 -0.2
F 3.771 3.993 0.559 0.1 0.2 0.2
F 3.238 1.919 0.322 0.0 0.3 0.2
F 2.593 3.364 -1.133 0.1 0.2 0.0
H 0.888 3.515 3.059 0.0 0.0 0.0
H 2.561 4.033 2.737 0.0 0.1 0.1
H 2.138 2.305 2.736 0.0 0.0 0.0
C 4.894 0.990 3.670 0.1 -0.1 0.0
C 4.487 -0.359 3.061 0.8 0.1 0.4
C 3.239 -0.225 2.371 -1.1 0.0 -0.5
N 2.257 -0.030 1.813 0.6 0.0 0.3
H 5.866 0.893 4.145 0.1 0.0 0.1
H 4.169 1.313 4.414 0.0 0.0 0.0
H 4.956 1.753 2.898 0.0 0.0 0.0
H 4.396 -1.122 3.839 0.0 0.0 -0.2
H 5.232 -0.683 2.327 -0.1 -0.1 0.2
Cl 0.264 -1.274 -2.823 -0.1 -0.4 -0.4
C 1.438 -0.398 -3.813 0.6 0.2 0.3
Cl 0.607 0.959 -4.570 0.2 0.1 -0.6
C 2.592 0.143 -2.856 -0.5 -1.0 -2.1
O 3.723 -0.080 -3.217 0.5 0.0 0.1
O 2.155 0.741 -1.844 0.7 0.6 0.0
H 1.825 -1.050 -4.596 0.0 0.1 0.3
```
Forces are in eV/Å.

- 2S+1: 8
- LUMO energy (spin up / spin down): 1.7 / 1.7 eV
- Energy: -5077.999220 Eh
- Gap between HOMO and LUMO (spin up / spin down): 3.92 / 7.22 eV
- Total charge: -1

No. 2
Below is C31H25Cl4FN6O7ReS4 as an isolated structure, with properties calculated with ωB97M-V/def2-TZVPD.

```
79
Properties=species:S:1:pos:R:3:forces:R:3
Re 0.417 0.054 0.184 0.0 1.5 -1.4
Cl -2.964 4.737 -3.490 -0.1 0.0 0.0
C -1.719 3.825 -2.725 0.2 0.0 0.0
C -0.384 4.143 -2.958 -0.2 -0.1 0.1
Cl 0.034 5.472 -3.971 0.0 0.0 0.0
C 0.620 3.376 -2.367 0.0 -0.2 0.2
Cl 2.291 3.724 -2.618 0.1 0.0 -0.1
C 0.300 2.292 -1.560 -0.7 0.1 -0.2
O 1.197 1.474 -1.043 0.1 -0.5 0.7
C -1.059 1.985 -1.289 0.5 0.7 -0.6
O -1.292 0.949 -0.505 0.6 -1.0 0.7
C -2.051 2.760 -1.884 0.1 -0.2 0.2
Cl -3.696 2.378 -1.543 -0.1 -0.1 0.0
F -1.299 -5.813 2.666 -0.1 0.0 0.1
C -1.190 -4.665 3.365 0.0 0.1 -0.3
C -1.085 -3.481 2.689 0.0 -0.1 0.0
C -1.002 -2.287 3.408 0.0 -0.2 0.1
C -0.679 -1.072 2.694 0.1 0.2 0.4
O -0.503 -1.188 1.457 -0.3 -0.2 0.1
C -0.544 0.115 3.466 0.1 0.1 -0.6